_To do_
Duplicate only the lines below with the word "data_SmBi2Pt" in them.

_Input_
(1)
# Sm3BiPt GGA-PBE relaxed
data_Sm3BiPt
_symmetry_space_group_name_H-M 'A m a 2'
_symmetry_Int_Tables_number 40
_cell_length_a 5.5638
_cell_length_b 21.8552
_cell_length_c 5.5823
_cell_angle_alpha 90.00
_cell_angle_beta 90.00
_cell_angle_gamma 90.00
loop_
_symmetry_equiv_pos_as_xyz
'x,y,z'
'-x,-y,z'
'-x+1/2,y,z'
'x+1/2,-y,z'
'x,y+1/2,z+1/2'
'-x,-y+1/2,z+1/2'
'-x+1/2,y+1/2,z+1/2'
'x+1/2,-y+1/2,z+1/2'
loop_
_atom_site_label
_atom_site_fract_x
_atom_site_fract_y
_atom_site_fract_z
Sm1 0.2500 0.0706 0.0000
Sm2 0.2500 0.1936 0.4397
Sm3 0.2500 0.4292 0.0128
Bi1 0.2500 0.3375 0.5272
Pt1 0.2500 0.0633 0.5008
# DFT formation energy: -0.63 eV/atom
# Volume: 678.8 Å³/cell
# Size of the total moment: 0.00 μB per cell

---

(2)
# Sm2BiPt2 GGA-PBE relaxed
data_Sm2BiPt2
_symmetry_space_group_name_H-M 'P 4/m b m'
_symmetry_Int_Tables_number 127
_symmetry_space_group_name_Hall '-P 4 2ab'
_cell_length_a 8.1545
_cell_length_b 8.1545
_cell_length_c 3.6334
_cell_angle_alpha 90.00
_cell_angle_beta 90.00
_cell_angle_gamma 90.00
loop_
_atom_site_label
_atom_site_fract_x
_atom_site_fract_y
_atom_site_fract_z
Sm1 0.1681 0.3319 0.0000
Bi1 0.0000 0.0000 0.5000
Pt1 0.1251 0.6251 0.5000
# DFT formation energy: -1.05 eV/atom
# Volume: 241.6 Å³/cell
# Size of the total moment: 0.00 μB per cell

---

(3)
# Sm4BiPt GGA-PBE relaxed
data_Sm4BiPt
_symmetry_space_group_name_H-M 'C 1 2/c 1'
_symmetry_Int_Tables_number 15
_cell_length_a 9.0376
_cell_length_b 14.1367
_cell_length_c 6.0044
_cell_angle_alpha 90.00
_cell_angle_beta 112.44
_cell_angle_gamma 90.00
loop_
_symmetry_equiv_pos_as_xyz
'x,y,z'
'-x,-y,-z'
'-x,y,-z+1/2'
'x,-y,z+1/2'
'x+1/2,y+1/2,z'
'-x+1/2,-y+1/2,-z'
'-x+1/2,y+1/2,-z+1/2'
'x+1/2,-y+1/2,z+1/2'
loop_
_atom_site_label
_atom_site_fract_x
_atom_site_fract_y
_atom_site_fract_z
Sm1 0.1114 0.1830 0.0693
Sm2 0.2194 0.4237 0.3443
Bi1 0.0000 0.3795 0.7500
Pt1 0.0000 0.0017 0.2500
# DFT formation energy: -0.64 eV/atom
# Volume: 709.0 Å³/cell
# Size of the total moment: 0.00 μB per cell

---

(4)
# SmBi2Pt GGA-PBE relaxed
data_SmBi2Pt
_symmetry_space_group_name_H-M 'R -3 m'
_symmetry_Int_Tables_number 166
_symmetry_space_group_name_Hall '-R 3 2"'
_cell_length_a 3.7257
_cell_length_b 3.7257
_cell_length_c 30.2363
_cell_angle_alpha 90.00
_cell_angle_beta 90.00
_cell_angle_gamma 120.00
loop_
_atom_site_label
_atom_site_fract_x
_atom_site_fract_y
_atom_site_fract_z
Sm1 0.0000 0.0000 0.0000
Bi1 0.0000 0.0000 0.1069
Pt1 0.0000 0.0000 0.5000
# DFT formation energy: -0.07 eV/atom
# Volume: 363.5 Å³/cell
# Size of the total moment: 0.00 μB per cell

---

(5)
# Sm5BiPt2 GGA-PBE relaxed
data_Sm5BiPt2
_symmetry_space_group_name_H-M 'I 4/m c m'
_symmetry_Int_Tables_number 140
_symmetry_space_group_name_Hall '-I 4 2c'
_cell_length_a 8.0084
_cell_length_b 8.0084
_cell_length_c 13.9703
_cell_angle_alpha 90.00
_cell_angle_beta 90.00
_cell_angle_gamma 90.00
loop_
_atom_site_label
_atom_site_fract_x
_atom_site_fract_y
_atom_site_fract_z
Sm1 0.0000 0.0000 0.0000
Sm2 0.1564 0.3436 0.1364
Bi1 0.0000 0.0000 0.2500
Pt1 0.1380 0.3620 0.5000
# DFT formation energy: -0.87 eV/atom
# Volume: 896.0 Å³/cell
# Size of the total moment: 0.00 μB per cell

---

(6)
# SmBiPt4 GGA-PBE relaxed
data_SmBiPt4
_symmetry_space_group_name_H-M 'F -4 3 m'
_symmetry_Int_Tables_number 216
_symmetry_space_group_name_Hall 'F -4 2 3'
_cell_length_a 7.7622
_cell_length_b 7.7622
_cell_length_c 7.7622
_cell_angle_alpha 90.00
_cell_angle_beta 90.00
_cell_angle_gamma 90.00
loop_
_atom_site_label
_atom_site_fract_x
_atom_site_fract_y
_atom_site_fract_z
Sm1 0.0000 0.0000 0.0000
Bi1 0.2500 0.2500 0.7500
Pt1 0.1253 0.1253 0.3747
# DFT formation energy: -0.67 eV/atom
# Volume: 467.7 Å³/cell
# Size of the total moment: 0.00 μB per cell

---

(7)
# SmBiPt10 GGA-PBE relaxed
data_SmBiPt10
_symmetry_space_group_name_H-M 'P m m m'
_symmetry_Int_Tables_number 47
_cell_length_a 4.4792
_cell_length_b 5.4027
_cell_length_c 9.2860
_cell_angle_alpha 90.00
_cell_angle_beta 90.00
_cell_angle_gamma 90.00
loop_

_Done_
data_SmBi2Pt